Listing:
Computed, not measured: a relaxed structure of Cs2AcTc2N6 at the GGA-PBE level of DFT.

Computed properties:
magnetization = 1.02 μB/f.u.
total energy = -7.16 eV/atom
uncorrected formation energy = -202 meV per atom

Geometry as CIF:
```
data_Cs2AcTc2N6
_cell_length_a 11.560
_cell_length_b 6.657
_cell_length_c 7.727
_cell_angle_alpha 90.00
_cell_angle_beta 120.17
_cell_angle_gamma 90.00
_symmetry_space_group_name_H-M 'C 1 2/m 1'
_symmetry_Int_Tables_number 12
loop_
_symmetry_equiv_pos_as_xyz
'x,y,z'
'-x,-y,-z'
'-x,y,-z'
'x,-y,z'
'x+1/2,y+1/2,z'
'-x+1/2,-y+1/2,-z'
'-x+1/2,y+1/2,-z'
'x+1/2,-y+1/2,z'
loop_
_atom_site_label
_atom_site_type_symbol
_atom_site_fract_x
_atom_site_fract_y
_atom_site_fract_z
_atom_site_occupancy
Cs1 Cs 0.220 0.000 0.165 1
Ac1 Ac 0.000 0.000 0.500 1
Tc1 Tc 0.066 0.500 0.204 1
N1 N 0.012 0.276 0.267 1
N2 N 0.238 0.500 0.275 1
```

---

Computed, not measured: a relaxed structure of CsAc2Tc2N6 at the GGA-PBE level of DFT.

Computed properties:
magnetization = 0.00 μB/f.u.
total energy = -7.72 eV/atom
uncorrected formation energy = -472 meV per atom

Geometry as CIF:
```
data_CsAc2Tc2N6
_cell_length_a 6.539
_cell_length_b 7.038
_cell_length_c 7.141
_cell_angle_alpha 95.43
_cell_angle_beta 116.84
_cell_angle_gamma 113.34
_symmetry_space_group_name_H-M 'P -1'
_symmetry_Int_Tables_number 2
loop_
_symmetry_equiv_pos_as_xyz
'x,y,z'
'-x,-y,-z'
loop_
_atom_site_label
_atom_site_type_symbol
_atom_site_fract_x
_atom_site_fract_y
_atom_site_fract_z
_atom_site_occupancy
Cs1 Cs 0.000 0.000 0.000 1
Ac1 Ac 0.374 0.283 0.679 1
Tc1 Tc 0.218 0.675 0.654 1
N1 N 0.130 0.894 0.643 1
N2 N 0.294 0.591 0.894 1
N3 N 0.441 0.691 0.569 1
```

---

Computed, not measured: a relaxed structure of CsNa4Ac at the GGA-PBE level of DFT.

Computed properties:
magnetization = 0.00 μB/f.u.
total energy = -1.49 eV/atom
energy of formation = 221 meV/atom

Geometry as CIF:
```
data_CsNa4Ac
_cell_length_a 10.277
_cell_length_b 10.277
_cell_length_c 10.277
_cell_angle_alpha 90.00
_cell_angle_beta 90.00
_cell_angle_gamma 90.00
_symmetry_space_group_name_H-M 'F -4 3 m'
_symmetry_Int_Tables_number 216
_symmetry_space_group_name_Hall 'F -4 2 3'
loop_
_atom_site_label
_atom_site_type_symbol
_atom_site_fract_x
_atom_site_fract_y
_atom_site_fract_z
_atom_site_occupancy
Cs1 Cs 0.000 0.000 0.000 1
Na1 Na 0.124 0.124 0.376 1
Ac1 Ac 0.250 0.250 0.750 1
```

* * * * *

Density functional theory data (PBE-GGA) for a relaxed structure of CeY8Tm2.

abc: 13.5466 6.6666 9.6928
angles: 90.00 122.51 90.00
Space group C2/m (No. 12)
Inequivalent atoms, fractional coordinates:
1 Ce 0.0000 0.0000 0.0000 (multiplicity 2)
2 Y 0.1187 0.2469 0.4799 (multiplicity 8)
3 Y 0.1222 0.0000 0.8009 (multiplicity 4)
4 Y 0.1272 0.5000 0.1715 (multiplicity 4)
5 Tm 0.1453 0.5000 0.8153 (multiplicity 4)

Properties
The total moment comes out at 0.1871 μB/atom. Its formation energy is 0.315 eV/atom.

Exercise:
Could you restate everything further up verbatim?

Response:
Computed, not measured: a relaxed structure of Cs2AcTc2N6 at the GGA-PBE level of DFT.

Computed properties:
magnetization = 1.02 μB/f.u.
total energy = -7.16 eV/atom
uncorrected formation energy = -202 meV per atom

Geometry as CIF:
```
data_Cs2AcTc2N6
_cell_length_a 11.560
_cell_length_b 6.657
_cell_length_c 7.727
_cell_angle_alpha 90.00
_cell_angle_beta 120.17
_cell_angle_gamma 90.00
_symmetry_space_group_name_H-M 'C 1 2/m 1'
_symmetry_Int_Tables_number 12
loop_
_symmetry_equiv_pos_as_xyz
'x,y,z'
'-x,-y,-z'
'-x,y,-z'
'x,-y,z'
'x+1/2,y+1/2,z'
'-x+1/2,-y+1/2,-z'
'-x+1/2,y+1/2,-z'
'x+1/2,-y+1/2,z'
loop_
_atom_site_label
_atom_site_type_symbol
_atom_site_fract_x
_atom_site_fract_y
_atom_site_fract_z
_atom_site_occupancy
Cs1 Cs 0.220 0.000 0.165 1
Ac1 Ac 0.000 0.000 0.500 1
Tc1 Tc 0.066 0.500 0.204 1
N1 N 0.012 0.276 0.267 1
N2 N 0.238 0.500 0.275 1
```

---

Computed, not measured: a relaxed structure of CsAc2Tc2N6 at the GGA-PBE level of DFT.

Computed properties:
magnetization = 0.00 μB/f.u.
total energy = -7.72 eV/atom
uncorrected formation energy = -472 meV per atom

Geometry as CIF:
```
data_CsAc2Tc2N6
_cell_length_a 6.539
_cell_length_b 7.038
_cell_length_c 7.141
_cell_angle_alpha 95.43
_cell_angle_beta 116.84
_cell_angle_gamma 113.34
_symmetry_space_group_name_H-M 'P -1'
_symmetry_Int_Tables_number 2
loop_
_symmetry_equiv_pos_as_xyz
'x,y,z'
'-x,-y,-z'
loop_
_atom_site_label
_atom_site_type_symbol
_atom_site_fract_x
_atom_site_fract_y
_atom_site_fract_z
_atom_site_occupancy
Cs1 Cs 0.000 0.000 0.000 1
Ac1 Ac 0.374 0.283 0.679 1
Tc1 Tc 0.218 0.675 0.654 1
N1 N 0.130 0.894 0.643 1
N2 N 0.294 0.591 0.894 1
N3 N 0.441 0.691 0.569 1
```

---

Computed, not measured: a relaxed structure of CsNa4Ac at the GGA-PBE level of DFT.

Computed properties:
magnetization = 0.00 μB/f.u.
total energy = -1.49 eV/atom
energy of formation = 221 meV/atom

Geometry as CIF:
```
data_CsNa4Ac
_cell_length_a 10.277
_cell_length_b 10.277
_cell_length_c 10.277
_cell_angle_alpha 90.00
_cell_angle_beta 90.00
_cell_angle_gamma 90.00
_symmetry_space_group_name_H-M 'F -4 3 m'
_symmetry_Int_Tables_number 216
_symmetry_space_group_name_Hall 'F -4 2 3'
loop_
_atom_site_label
_atom_site_type_symbol
_atom_site_fract_x
_atom_site_fract_y
_atom_site_fract_z
_atom_site_occupancy
Cs1 Cs 0.000 0.000 0.000 1
Na1 Na 0.124 0.124 0.376 1
Ac1 Ac 0.250 0.250 0.750 1
```

* * * * *

Density functional theory data (PBE-GGA) for a relaxed structure of CeY8Tm2.

abc: 13.5466 6.6666 9.6928
angles: 90.00 122.51 90.00
Space group C2/m (No. 12)
Inequivalent atoms, fractional coordinates:
1 Ce 0.0000 0.0000 0.0000 (multiplicity 2)
2 Y 0.1187 0.2469 0.4799 (multiplicity 8)
3 Y 0.1222 0.0000 0.8009 (multiplicity 4)
4 Y 0.1272 0.5000 0.1715 (multiplicity 4)
5 Tm 0.1453 0.5000 0.8153 (multiplicity 4)

Properties
The total moment comes out at 0.1871 μB/atom. Its formation energy is 0.315 eV/atom.